Filter the material further below: keep the lines with the word "beta", please.
********
Structure and calculated powder X-ray diffraction pattern of Tb15Sm4Sc (a DFT-relaxed cell (PBE, Alexandria); Cu Kα).
Peak positions follow from Bragg's law for the DFT cell and can differ from measured ones.

Structural model:
Unit cell a=5.041 b=5.041 c=25.147 alpha=90.00 beta=90.00 gamma=90.00
Element x y z (fractional)
Tb (0.000, 0.000, 0.000)
Tb (0.000, 0.000, 0.197)
Tb (0.000, 0.000, 0.399)
Tb (0.000, 0.000, 0.601)
Tb (0.000, 0.000, 0.803)
Tb (0.000, 0.500, 0.096)
Tb (0.000, 0.500, 0.298)
Tb (0.000, 0.500, 0.500)
Tb (0.000, 0.500, 0.702)
Tb (0.000, 0.500, 0.904)
Tb (0.500, 0.000, 0.096)
Tb (0.500, 0.000, 0.298)
Tb (0.500, 0.000, 0.500)
Tb (0.500, 0.000, 0.702)
Tb (0.500, 0.000, 0.904)
Sm (0.500, 0.500, 0.197)
Sm (0.500, 0.500, 0.399)
Sm (0.500, 0.500, 0.601)
Sm (0.500, 0.500, 0.803)
Sc (0.500, 0.500, 0.000)

The 6 most intense peaks (10° ≤ 2θ ≤ 90°), by angle:
- hkl 1 1 5, 30.75 deg, I = 100
- hkl 2 0 0, 35.65 deg, I = 50
- hkl 2 2 0, 51.30 deg, I = 36
- hkl 3 1 5, 60.97 deg, I = 29
- hkl 1 1 15, 61.08 deg, I = 13
- hkl 2 2 10, 64.04 deg, I = 12

----------

Entry 1:
This entry pairs a crystal structure of Pr3DyZn3 with its theoretical powder diffraction line list. Radiation: Cu Kα (weighted mean of Kα1 and Kα2). Structure: a crystal structure in Alexandria, relaxed with PBE.
No peak broadening, texture or thermal motion is included.

Structural model:
```
data_Pr3DyZn3
_chemical_formula_sum 'Pr12 Dy4 Zn12'
_symmetry_space_group_name_H-M 'C m m m'
_symmetry_Int_Tables_number 65
_symmetry_space_group_name_Hall '-C 2 2'
_cell_length_a 10.163
_cell_length_b 10.514
_cell_length_c 7.228
_cell_angle_alpha 90.00
_cell_angle_beta 90.00
_cell_angle_gamma 90.00
loop_
_atom_site_label
_atom_site_type_symbol
_atom_site_fract_x
_atom_site_fract_y
_atom_site_fract_z
Pr1 Pr 0.000 0.243 0.000
Pr2 Pr 0.241 0.500 0.500
Pr3 Pr 0.242 0.500 0.000
Dy1 Dy 0.000 0.241 0.500
Zn1 Zn 0.000 0.000 0.258
Zn2 Zn 0.250 0.250 0.259
```

Largest 10 diffraction maxima, by intensity, 2θ from 10° to 90°:
h k l  2θ (°)  I (rel.)
2 2 2  34.92  1000
2 2 0  24.36  268
0 4 0  34.11  265
4 0 4  63.14  255
4 0 0  35.33  241
2 6 2  61.58  183
4 4 0  49.92  176
0 0 2  24.63  134
2 2 6  84.73  111
4 4 4  73.75  109

Entry 2:
This entry pairs a crystal structure of Ba3NaTl with its theoretical powder diffraction line list. Radiation: Cu Kα (weighted mean of Kα1 and Kα2). Structure: a crystal structure in Alexandria, relaxed with PBE.
No peak broadening, texture or thermal motion is included.

Structural model:
```
data_Ba3NaTl
_chemical_formula_sum 'Ba24 Na8 Tl8'
_symmetry_space_group_name_H-M 'C m c e'
_symmetry_Int_Tables_number 64
_symmetry_space_group_name_Hall '-C 2ac 2'
_cell_length_a 15.672
_cell_length_b 13.789
_cell_length_c 9.792
_cell_angle_alpha 90.00
_cell_angle_beta 90.00
_cell_angle_gamma 90.00
loop_
_atom_site_label
_atom_site_type_symbol
_atom_site_fract_x
_atom_site_fract_y
_atom_site_fract_z
Ba1 Ba 0.000 0.067 0.190
Ba2 Ba 0.140 0.171 0.592
Na1 Na 0.250 0.074 0.250
Tl1 Tl 0.000 0.198 0.872
```

Largest 10 diffraction maxima, by intensity, 2θ from 10° to 90°:
h k l  2θ (°)  I (rel.)
0 4 1  27.42  1000
3 1 2  25.76  779
2 0 0  11.29  726
3 1 1  20.32  397
0 2 0  12.84  324
0 2 3  30.30  293
2 4 1  29.75  213
8 4 1  54.72  205
1 3 2  27.21  201
3 3 2  31.72  180

Entry 3:
This entry pairs a crystal structure of Pr4Nd4Mg with its theoretical powder diffraction line list. Radiation: Cu Kα (weighted mean of Kα1 and Kα2). Structure: a crystal structure in Alexandria, relaxed with PBE.
No peak broadening, texture or thermal motion is included.

Structural model:
```
data_Pr4Nd4Mg
_chemical_formula_sum 'Pr16 Nd16 Mg4'
_symmetry_space_group_name_H-M 'C m c m'
_symmetry_Int_Tables_number 63
_symmetry_space_group_name_Hall '-C 2c 2'
_cell_length_a 16.427
_cell_length_b 6.593
_cell_length_c 11.961
_cell_angle_alpha 90.00
_cell_angle_beta 90.00
_cell_angle_gamma 90.00
loop_
_atom_site_label
_atom_site_type_symbol
_atom_site_fract_x
_atom_site_fract_y
********
Unit cell a=5.041 b=5.041 c=25.147 alpha=90.00 beta=90.00 gamma=90.00